Work out how many lines underneath have the word "Values" in them; a number is enough.

********
Record 1
The following is a DFT calculation (PBE-GGA) of a relaxed structure of KAl12Ag7.

Values from the calculation:
The space group is R-3m. As for the formation energy from the elements: 0.075 eV/atom. The calculated volume comes out at 18.85 Å³ per atom. The calculation puts the density of states at the Fermi level at 7.48 states/eV/f.u.

Unit cell a=8.220 b=8.220 c=8.220 alpha=112.27 beta=112.27 gamma=112.27
Positions (direct):
K: 0.000 0.000 0.000
Al: 0.000 0.260 0.740
Al: 0.000 0.740 0.260
Al: 0.098 0.432 0.432
Al: 0.260 0.000 0.740
Al: 0.260 0.740 0.000
Al: 0.432 0.098 0.432
Al: 0.432 0.432 0.098
Al: 0.568 0.568 0.902
Al: 0.568 0.902 0.568
Al: 0.740 0.000 0.260
Al: 0.740 0.260 0.000
Al: 0.902 0.568 0.568
Ag: 0.177 0.177 0.523
Ag: 0.177 0.523 0.177
Ag: 0.477 0.823 0.823
Ag: 0.500 0.500 0.500
Ag: 0.523 0.177 0.177
Ag: 0.823 0.477 0.823
Ag: 0.823 0.823 0.477

=====

Record 2
The following is a DFT calculation (PBE-GGA) of a relaxed structure of KAl2Ag2.

Values from the calculation:
The space group is P4/mbm. As for the formation energy from the elements: 0.019 eV/atom. The excess energy over the best structure of this formula in the dataset comes out at 0 meV/atom. The calculated volume comes out at 20.53 Å³ per atom. The calculation puts the density of states at the Fermi level at 1.33 states/eV/f.u.

Unit cell a=8.502 b=8.502 c=2.840 alpha=90.00 beta=90.00 gamma=90.00
Positions (direct):
K: 0.000 0.000 0.000
K: 0.500 0.500 0.000
Al: 0.123 0.377 0.000
Al: 0.377 0.877 0.000
Al: 0.623 0.123 0.000
Al: 0.877 0.623 0.000
Ag: 0.167 0.667 0.500
Ag: 0.333 0.167 0.500
Ag: 0.667 0.833 0.500
Ag: 0.833 0.333 0.500

=====

Record 3
The following is a DFT calculation (PBE-GGA) of a relaxed structure of KAl2Ag.

Values from the calculation:
The space group is Immm. As for the formation energy from the elements: 0.215 eV/atom. The excess energy over the best structure of this formula in the dataset comes out at 70 meV/atom. The calculated volume comes out at 22.80 Å³ per atom. The calculation puts the density of states at the Fermi level at 1.10 states/eV/f.u.

Unit cell a=6.438 b=6.438 c=6.438 alpha=153.70 beta=129.11 gamma=58.18
Positions (direct):
K: 0.000 0.000 0.000
Al: 0.288 0.788 0.500
Al: 0.712 0.212 0.500
Ag: 0.500 0.500 0.000

=====

Record 4
The following is a DFT calculation (PBE-GGA) of a relaxed structure of K2Al2Ag.

Values from the calculation:
The space group is P4/mbm. As for the formation energy from the elements: 0.196 eV/atom. The excess energy over the best structure of this formula in the dataset comes out at 0 meV/atom. The calculated volume comes out at 28.98 Å³ per atom. The calculation puts the density of states at the Fermi level at 4.21 states/eV/f.u.

Unit cell a=6.965 b=6.965 c=5.974 alpha=90.00 beta=90.00 gamma=90.00
Positions (direct):
K: 0.185 0.315 0.000
K: 0.315 0.815 0.000
K: 0.685 0.185 0.000
K: 0.815 0.685 0.000
Al: 0.133 0.633 0.500
Al: 0.367 0.133 0.500
Al: 0.633 0.867 0.500
Al: 0.867 0.367 0.500
Ag: 0.000 0.000 0.500
Ag: 0.500 0.500 0.500

=====

Record 5
The following is a DFT calculation (PBE-GGA) of a relaxed structure of KAl4Ag4.

Values from the calculation:
The space group is I4/m. As for the formation energy from the elements: -0.100 eV/atom. The calculated volume comes out at 22.06 Å³ per atom. The calculation puts the density of states at the Fermi level at 2.48 states/eV/f.u.

Unit cell a=6.868 b=6.868 c=6.868 alpha=96.99 beta=96.99 gamma=139.16
Positions (direct):
K: 0.000 0.000 0.000
Al: 0.105 0.396 0.501
Al: 0.396 0.895 0.290
Al: 0.604 0.105 0.710
Al: 0.895 0.604 0.499
Ag: 0.197 0.679 0.876
Ag: 0.321 0.197 0.518
Ag: 0.679 0.803 0.482
Ag: 0.803 0.321 0.124

=====

Record 6
The following is a DFT calculation (PBE-GGA) of a relaxed structure of KAl4Ag2.

Values from the calculation:
********

6